........
No. 1
# K4Sn20Hg3
Calculated powder diffraction line list, Cu Kα, 1.54184 Å. Input: a cell relaxed with PBE.
Neutral-atom scattering factors, no anomalous dispersion.

Cell and atoms:
```
K4Sn20Hg3
1.0
12.439 0.000 0.000
0.000 12.439 0.000
0.000 0.000 12.439
K Sn Hg
8 40 6
Direct
0.000 0.000 0.000 K
0.000 0.250 0.500 K
0.000 0.750 0.500 K
0.250 0.500 0.000 K
0.500 0.000 0.250 K
0.500 0.000 0.750 K
0.500 0.500 0.500 K
0.750 0.500 0.000 K
0.000 0.312 0.117 Sn
0.000 0.312 0.883 Sn
0.000 0.688 0.117 Sn
0.000 0.688 0.883 Sn
0.117 0.000 0.312 Sn
0.117 0.000 0.688 Sn
0.183 0.183 0.183 Sn
0.183 0.183 0.817 Sn
0.183 0.817 0.183 Sn
0.183 0.817 0.817 Sn
0.188 0.500 0.383 Sn
0.188 0.500 0.617 Sn
0.312 0.117 0.000 Sn
0.312 0.883 0.000 Sn
0.317 0.317 0.317 Sn
0.317 0.317 0.683 Sn
0.317 0.683 0.317 Sn
0.317 0.683 0.683 Sn
0.383 0.188 0.500 Sn
0.383 0.812 0.500 Sn
0.500 0.383 0.188 Sn
0.500 0.383 0.812 Sn
0.500 0.617 0.188 Sn
0.500 0.617 0.812 Sn
0.617 0.188 0.500 Sn
0.617 0.812 0.500 Sn
0.683 0.317 0.317 Sn
0.683 0.317 0.683 Sn
0.683 0.683 0.317 Sn
0.683 0.683 0.683 Sn
0.688 0.117 0.000 Sn
0.688 0.883 0.000 Sn
0.812 0.500 0.383 Sn
0.812 0.500 0.617 Sn
0.817 0.183 0.183 Sn
0.817 0.183 0.817 Sn
0.817 0.817 0.183 Sn
0.817 0.817 0.817 Sn
0.883 0.000 0.312 Sn
0.883 0.000 0.688 Sn
0.000 0.500 0.250 Hg
0.000 0.500 0.750 Hg
0.250 0.000 0.500 Hg
0.500 0.250 0.000 Hg
0.500 0.750 0.000 Hg
0.750 0.000 0.500 Hg
```

Principal peaks in the range 10° ≤ 2θ ≤ 80°, sorted by position:
h k l, 2θ (°), I_rel
2 1 0, 15.93, 77
2 1 1, 17.46, 14
2 2 2, 24.80, 42
3 2 1, 26.82, 100
4 1 0, 29.61, 25
4 2 1, 33.00, 28
4 3 2, 38.99, 27
5 3 0, 42.37, 82
5 3 1, 43.02, 25
6 0 0, 43.66, 28
5 3 2, 44.92, 53
9 3 0, 72.03, 15

***

No. 2
# Dy2SO2
Calculated powder diffraction line list, Cu Kα, 1.54184 Å. Input: a cell relaxed with PBE.
Neutral-atom scattering factors, no anomalous dispersion.

Cell and atoms:
```
Dy2SO2
1.0
3.810 0.000 0.000
-1.905 3.299 0.000
0.000 0.000 6.615
Dy S O
2 1 2
Direct
0.333 0.667 0.282 Dy
0.667 0.333 0.718 Dy
0.000 0.000 0.000 S
0.333 0.667 0.629 O
0.667 0.333 0.371 O
```

Principal peaks in the range 10° ≤ 2θ ≤ 80°, sorted by position:
h k l, 2θ (°), I_rel
0 0 2, 26.99, 42
0 1 1, 30.27, 100
1 0 2, 38.54, 30
1 1 0, 47.75, 30
0 1 3, 49.74, 25
1 1 2, 55.69, 21
2 0 1, 57.59, 17
1 0 4, 62.86, 8
0 2 2, 62.96, 7
1 1 3, 64.66, 9
2 0 3, 71.41, 8
1 2 1, 77.97, 14

***

No. 3
# Al5W
Calculated powder diffraction line list, Cu Kα, 1.54184 Å. Input: a cell relaxed with PBE.
Neutral-atom scattering factors, no anomalous dispersion.

Cell and atoms:
```
Al5W
1.0
4.915 0.000 0.000
-2.458 4.257 0.000
0.000 0.000 8.875
Al W
10 2
Direct
0.000 0.000 0.250 Al
0.000 0.000 0.750 Al
0.000 0.338 0.000 Al
0.000 0.662 0.500 Al
0.333 0.667 0.250 Al
0.338 0.000 0.000 Al
0.338 0.338 0.500 Al
0.662 0.000 0.500 Al
0.662 0.662 0.000 Al
0.667 0.333 0.750 Al
0.333 0.667 0.750 W
0.667 0.333 0.250 W
```

Principal peaks in the range 10° ≤ 2θ ≤ 80°, sorted by position:
h k l, 2θ (°), I_rel
0 0 2, 20.01, 31
1 0 0, 20.87, 22
1 0 1, 23.17, 100
1 0 2, 29.07, 19
1 1 0, 36.56, 34
1 0 3, 37.00, 31
0 0 4, 40.66, 22
1 1 2, 42.02, 92
2 0 1, 43.74, 19
1 1 4, 55.82, 20
2 1 1, 58.28, 17
1 1 6, 74.93, 17
........
It remains to quote all of the material further above without additions.
No. 1
# K4Sn20Hg3
Calculated powder diffraction line list, Cu Kα, 1.54184 Å. Input: a cell relaxed with PBE.
Neutral-atom scattering factors, no anomalous dispersion.

Cell and atoms:
```
K4Sn20Hg3
1.0
12.439 0.000 0.000
0.000 12.439 0.000
0.000 0.000 12.439
K Sn Hg
8 40 6
Direct
0.000 0.000 0.000 K
0.000 0.250 0.500 K
0.000 0.750 0.500 K
0.250 0.500 0.000 K
0.500 0.000 0.250 K
0.500 0.000 0.750 K
0.500 0.500 0.500 K
0.750 0.500 0.000 K
0.000 0.312 0.117 Sn
0.000 0.312 0.883 Sn
0.000 0.688 0.117 Sn
0.000 0.688 0.883 Sn
0.117 0.000 0.312 Sn
0.117 0.000 0.688 Sn
0.183 0.183 0.183 Sn
0.183 0.183 0.817 Sn
0.183 0.817 0.183 Sn
0.183 0.817 0.817 Sn
0.188 0.500 0.383 Sn
0.188 0.500 0.617 Sn
0.312 0.117 0.000 Sn
0.312 0.883 0.000 Sn
0.317 0.317 0.317 Sn
0.317 0.317 0.683 Sn
0.317 0.683 0.317 Sn
0.317 0.683 0.683 Sn
0.383 0.188 0.500 Sn
0.383 0.812 0.500 Sn
0.500 0.383 0.188 Sn
0.500 0.383 0.812 Sn
0.500 0.617 0.188 Sn
0.500 0.617 0.812 Sn
0.617 0.188 0.500 Sn
0.617 0.812 0.500 Sn
0.683 0.317 0.317 Sn
0.683 0.317 0.683 Sn
0.683 0.683 0.317 Sn
0.683 0.683 0.683 Sn
0.688 0.117 0.000 Sn
0.688 0.883 0.000 Sn
0.812 0.500 0.383 Sn
0.812 0.500 0.617 Sn
0.817 0.183 0.183 Sn
0.817 0.183 0.817 Sn
0.817 0.817 0.183 Sn
0.817 0.817 0.817 Sn
0.883 0.000 0.312 Sn
0.883 0.000 0.688 Sn
0.000 0.500 0.250 Hg
0.000 0.500 0.750 Hg
0.250 0.000 0.500 Hg
0.500 0.250 0.000 Hg
0.500 0.750 0.000 Hg
0.750 0.000 0.500 Hg
```

Principal peaks in the range 10° ≤ 2θ ≤ 80°, sorted by position:
h k l, 2θ (°), I_rel
2 1 0, 15.93, 77
2 1 1, 17.46, 14
2 2 2, 24.80, 42
3 2 1, 26.82, 100
4 1 0, 29.61, 25
4 2 1, 33.00, 28
4 3 2, 38.99, 27
5 3 0, 42.37, 82
5 3 1, 43.02, 25
6 0 0, 43.66, 28
5 3 2, 44.92, 53
9 3 0, 72.03, 15

***

No. 2
# Dy2SO2
Calculated powder diffraction line list, Cu Kα, 1.54184 Å. Input: a cell relaxed with PBE.
Neutral-atom scattering factors, no anomalous dispersion.

Cell and atoms:
```
Dy2SO2
1.0
3.810 0.000 0.000
-1.905 3.299 0.000
0.000 0.000 6.615
Dy S O
2 1 2
Direct
0.333 0.667 0.282 Dy
0.667 0.333 0.718 Dy
0.000 0.000 0.000 S
0.333 0.667 0.629 O
0.667 0.333 0.371 O
```

Principal peaks in the range 10° ≤ 2θ ≤ 80°, sorted by position:
h k l, 2θ (°), I_rel
0 0 2, 26.99, 42
0 1 1, 30.27, 100
1 0 2, 38.54, 30
1 1 0, 47.75, 30
0 1 3, 49.74, 25
1 1 2, 55.69, 21
2 0 1, 57.59, 17
1 0 4, 62.86, 8
0 2 2, 62.96, 7
1 1 3, 64.66, 9
2 0 3, 71.41, 8
1 2 1, 77.97, 14

***

No. 3
# Al5W
Calculated powder diffraction line list, Cu Kα, 1.54184 Å. Input: a cell relaxed with PBE.
Neutral-atom scattering factors, no anomalous dispersion.

Cell and atoms:
```
Al5W
1.0
4.915 0.000 0.000
-2.458 4.257 0.000
0.000 0.000 8.875
Al W
10 2
Direct
0.000 0.000 0.250 Al
0.000 0.000 0.750 Al
0.000 0.338 0.000 Al
0.000 0.662 0.500 Al
0.333 0.667 0.250 Al
0.338 0.000 0.000 Al
0.338 0.338 0.500 Al
0.662 0.000 0.500 Al
0.662 0.662 0.000 Al
0.667 0.333 0.750 Al
0.333 0.667 0.750 W
0.667 0.333 0.250 W
```

Principal peaks in the range 10° ≤ 2θ ≤ 80°, sorted by position:
h k l, 2θ (°), I_rel
0 0 2, 20.01, 31
1 0 0, 20.87, 22
1 0 1, 23.17, 100
1 0 2, 29.07, 19
1 1 0, 36.56, 34
1 0 3, 37.00, 31
0 0 4, 40.66, 22
1 1 2, 42.02, 92
2 0 1, 43.74, 19
1 1 4, 55.82, 20
2 1 1, 58.28, 17
1 1 6, 74.93, 17